Data:
- - -
Entry 1:
This entry pairs a crystal structure of CdAg5Au with its theoretical X-ray powder pattern. Radiation: a wavelength of 1.5418 Å. Structure: a structure optimized by DFT (PBE).
Kinematic intensities with the Lorentz-polarization factor, no thermal factor.

Structural model:
a = 5.7604 Å, b = 5.7604 Å, c = 10.2128 Å
α = 99.55°, β = 99.55°, γ = 55.21°
Atoms (fractional coordinates):
Cd1 0.2441 0.7559 0.7500
Cd2 0.7559 0.2441 0.2500
Ag1 0.2248 0.2490 0.6851
Ag2 0.2490 0.2248 0.1851
Ag3 0.2615 0.7385 0.2500
Ag4 0.3501 0.3624 0.9595
Ag5 0.3624 0.3501 0.4595
Ag6 0.6376 0.6499 0.5405
Ag7 0.6499 0.6376 0.0405
Ag8 0.7385 0.2615 0.7500
Ag9 0.7510 0.7752 0.8149
Ag10 0.7752 0.7510 0.3149
Au1 0.0000 0.0000 0.0000
Au2 0.0000 0.0000 0.5000

Main lines, by intensity (2θ = 10–90°):
two_theta, I_rel
38.9, 100
40.9, 98
38.2, 84
37.0, 77
35.8, 77
31.6, 54
42.3, 50
65.6, 38
44.3, 35
33.6, 34


Entry 2:
This entry pairs a crystal structure of Y4Se3 with its theoretical X-ray powder pattern. Radiation: a wavelength of 1.5418 Å. Structure: a structure optimized by DFT (PBE).
Kinematic intensities with the Lorentz-polarization factor, no thermal factor.

Structural model:
a = 13.4335 Å, b = 13.4335 Å, c = 13.4335 Å
α = 17.03°, β = 17.03°, γ = 17.03°
Atoms (fractional coordinates):
Y1 0.1211 0.1211 0.1211
Y2 0.3692 0.3692 0.3692
Y3 0.6308 0.6308 0.6308
Y4 0.8789 0.8789 0.8789
Se1 0.2539 0.2539 0.2539
Se2 0.5000 0.5000 0.5000
Se3 0.7461 0.7461 0.7461

Main lines, by intensity (2θ = 10–90°):
two_theta, I_rel
31.6, 100
45.6, 37
45.0, 32
56.5, 18
75.5, 15
74.6, 14
83.9, 10
66.0, 10
39.4, 9
28.2, 8


- Which formula does entry 2 have?
  Y4Se3


- Which formula does entry 1 have?
  CdAg5Au

----------

(1)
Structure and simulated PXRD pattern of YbY2Se4 (a structure optimized by DFT (GGA-PBE); CuKα).

Crystal structure
```
data_YbY2Se4
_symmetry_space_group_name_H-M 'P 1 2/m 1'
_symmetry_Int_Tables_number 10
_cell_length_a 7.0570
_cell_length_b 4.1260
_cell_length_c 7.1489
_cell_angle_alpha 90.00
_cell_angle_beta 108.14
_cell_angle_gamma 90.00
loop_
_symmetry_equiv_pos_as_xyz
'x,y,z'
'-x,-y,-z'
'-x,y,-z'
'x,-y,z'
loop_
_atom_site_label
_atom_site_fract_x
_atom_site_fract_y
_atom_site_fract_z
Yb1 0.0000 0.0000 0.0000
Y1 0.0000 0.5000 0.5000
Y2 0.5000 0.0000 0.5000
Se1 0.2427 0.0000 0.7361
Se2 0.2561 0.5000 0.2528
```

Largest 12 diffraction maxima, sorted by position, 10 to 90 degrees two-theta:
| two_theta | Rel. int. |
| --- | --- |
| 13.20 | 23 |
| 15.41 | 16 |
| 25.25 | 9 |
| 30.49 | 100 |
| 31.10 | 48 |
| 43.43 | 18 |
| 43.89 | 54 |
| 44.33 | 35 |
| 53.99 | 10 |
| 54.76 | 28 |
| 63.45 | 12 |
| 80.66 | 15 |

=====

(2)
Structure and simulated PXRD pattern of Li8AcAg4 (a structure optimized by DFT (GGA-PBE); CuKα).

Crystal structure
```
data_Li8AcAg4
_symmetry_space_group_name_H-M 'I 4/m m m'
_symmetry_Int_Tables_number 139
_symmetry_space_group_name_Hall '-I 4 2'
_cell_length_a 9.4325
_cell_length_b 9.4325
_cell_length_c 5.7040
_cell_angle_alpha 90.00
_cell_angle_beta 90.00
_cell_angle_gamma 90.00
loop_
_atom_site_label
_atom_site_fract_x
_atom_site_fract_y
_atom_site_fract_z
Li1 0.0000 0.2301 0.0000
Li2 0.0000 0.3541 0.5000
Ac1 0.0000 0.0000 0.5000
Ag1 0.2500 0.2500 0.2500
```

Largest 12 diffraction maxima, sorted by position, 10 to 90 degrees two-theta:
| two_theta | Rel. int. |
| --- | --- |
| 13.27 | 51 |
| 18.18 | 53 |
| 18.82 | 29 |
| 26.28 | 48 |
| 26.73 | 100 |
| 29.96 | 17 |
| 36.83 | 95 |
| 37.83 | 22 |
| 38.16 | 45 |
| 54.08 | 57 |
| 62.25 | 19 |
| 80.84 | 18 |

=====

(3)
Structure and simulated PXRD pattern of Nd3Pb4 (a structure optimized by DFT (GGA-PBE); CuKα).

Crystal structure
```
data_Nd3Pb4
_symmetry_space_group_name_H-M 'C m c m'
_symmetry_Int_Tables_number 63
_symmetry_space_group_name_Hall '-C 2c 2'
_cell_length_a 4.5783
_cell_length_b 11.9410
_cell_length_c 16.2694
_cell_angle_alpha 90.00
_cell_angle_beta 90.00
_cell_angle_gamma 90.00
loop_
_atom_site_label
_atom_site_fract_x
_atom_site_fract_y
_atom_site_fract_z
- - -
Job:
Give back everything further up character by character.
Done:
Entry 1:
This entry pairs a crystal structure of CdAg5Au with its theoretical X-ray powder pattern. Radiation: a wavelength of 1.5418 Å. Structure: a structure optimized by DFT (PBE).
Kinematic intensities with the Lorentz-polarization factor, no thermal factor.

Structural model:
a = 5.7604 Å, b = 5.7604 Å, c = 10.2128 Å
α = 99.55°, β = 99.55°, γ = 55.21°
Atoms (fractional coordinates):
Cd1 0.2441 0.7559 0.7500
Cd2 0.7559 0.2441 0.2500
Ag1 0.2248 0.2490 0.6851
Ag2 0.2490 0.2248 0.1851
Ag3 0.2615 0.7385 0.2500
Ag4 0.3501 0.3624 0.9595
Ag5 0.3624 0.3501 0.4595
Ag6 0.6376 0.6499 0.5405
Ag7 0.6499 0.6376 0.0405
Ag8 0.7385 0.2615 0.7500
Ag9 0.7510 0.7752 0.8149
Ag10 0.7752 0.7510 0.3149
Au1 0.0000 0.0000 0.0000
Au2 0.0000 0.0000 0.5000

Main lines, by intensity (2θ = 10–90°):
two_theta, I_rel
38.9, 100
40.9, 98
38.2, 84
37.0, 77
35.8, 77
31.6, 54
42.3, 50
65.6, 38
44.3, 35
33.6, 34


Entry 2:
This entry pairs a crystal structure of Y4Se3 with its theoretical X-ray powder pattern. Radiation: a wavelength of 1.5418 Å. Structure: a structure optimized by DFT (PBE).
Kinematic intensities with the Lorentz-polarization factor, no thermal factor.

Structural model:
a = 13.4335 Å, b = 13.4335 Å, c = 13.4335 Å
α = 17.03°, β = 17.03°, γ = 17.03°
Atoms (fractional coordinates):
Y1 0.1211 0.1211 0.1211
Y2 0.3692 0.3692 0.3692
Y3 0.6308 0.6308 0.6308
Y4 0.8789 0.8789 0.8789
Se1 0.2539 0.2539 0.2539
Se2 0.5000 0.5000 0.5000
Se3 0.7461 0.7461 0.7461

Main lines, by intensity (2θ = 10–90°):
two_theta, I_rel
31.6, 100
45.6, 37
45.0, 32
56.5, 18
75.5, 15
74.6, 14
83.9, 10
66.0, 10
39.4, 9
28.2, 8


- Which formula does entry 2 have?
  Y4Se3


- Which formula does entry 1 have?
  CdAg5Au

----------

(1)
Structure and simulated PXRD pattern of YbY2Se4 (a structure optimized by DFT (GGA-PBE); CuKα).

Crystal structure
```
data_YbY2Se4
_symmetry_space_group_name_H-M 'P 1 2/m 1'
_symmetry_Int_Tables_number 10
_cell_length_a 7.0570
_cell_length_b 4.1260
_cell_length_c 7.1489
_cell_angle_alpha 90.00
_cell_angle_beta 108.14
_cell_angle_gamma 90.00
loop_
_symmetry_equiv_pos_as_xyz
'x,y,z'
'-x,-y,-z'
'-x,y,-z'
'x,-y,z'
loop_
_atom_site_label
_atom_site_fract_x
_atom_site_fract_y
_atom_site_fract_z
Yb1 0.0000 0.0000 0.0000
Y1 0.0000 0.5000 0.5000
Y2 0.5000 0.0000 0.5000
Se1 0.2427 0.0000 0.7361
Se2 0.2561 0.5000 0.2528
```

Largest 12 diffraction maxima, sorted by position, 10 to 90 degrees two-theta:
| two_theta | Rel. int. |
| --- | --- |
| 13.20 | 23 |
| 15.41 | 16 |
| 25.25 | 9 |
| 30.49 | 100 |
| 31.10 | 48 |
| 43.43 | 18 |
| 43.89 | 54 |
| 44.33 | 35 |
| 53.99 | 10 |
| 54.76 | 28 |
| 63.45 | 12 |
| 80.66 | 15 |

=====

(2)
Structure and simulated PXRD pattern of Li8AcAg4 (a structure optimized by DFT (GGA-PBE); CuKα).

Crystal structure
```
data_Li8AcAg4
_symmetry_space_group_name_H-M 'I 4/m m m'
_symmetry_Int_Tables_number 139
_symmetry_space_group_name_Hall '-I 4 2'
_cell_length_a 9.4325
_cell_length_b 9.4325
_cell_length_c 5.7040
_cell_angle_alpha 90.00
_cell_angle_beta 90.00
_cell_angle_gamma 90.00
loop_
_atom_site_label
_atom_site_fract_x
_atom_site_fract_y
_atom_site_fract_z
Li1 0.0000 0.2301 0.0000
Li2 0.0000 0.3541 0.5000
Ac1 0.0000 0.0000 0.5000
Ag1 0.2500 0.2500 0.2500
```

Largest 12 diffraction maxima, sorted by position, 10 to 90 degrees two-theta:
| two_theta | Rel. int. |
| --- | --- |
| 13.27 | 51 |
| 18.18 | 53 |
| 18.82 | 29 |
| 26.28 | 48 |
| 26.73 | 100 |
| 29.96 | 17 |
| 36.83 | 95 |
| 37.83 | 22 |
| 38.16 | 45 |
| 54.08 | 57 |
| 62.25 | 19 |
| 80.84 | 18 |

=====

(3)
Structure and simulated PXRD pattern of Nd3Pb4 (a structure optimized by DFT (GGA-PBE); CuKα).

Crystal structure
```
data_Nd3Pb4
_symmetry_space_group_name_H-M 'C m c m'
_symmetry_Int_Tables_number 63
_symmetry_space_group_name_Hall '-C 2c 2'
_cell_length_a 4.5783
_cell_length_b 11.9410
_cell_length_c 16.2694
_cell_angle_alpha 90.00
_cell_angle_beta 90.00
_cell_angle_gamma 90.00
loop_
_atom_site_label
_atom_site_fract_x
_atom_site_fract_y
_atom_site_fract_z